== Excerpt ==
[1]
158
Properties=species:S:1:pos:R:3 method="wB97M-V/def2-TZVPD" fmax_ev_per_a=7.11 gap_ha=0.3755 lumo_energy_ha=-0.0118 e_above_lowest_ev=6.208 total_charge=0
C -1.265 -5.627 4.082
C -1.879 -4.609 3.133
O -2.960 -4.129 3.975
C -3.155 -4.957 4.896
O -4.067 -4.845 5.736
O -2.416 -6.029 4.728
H -0.513 -5.195 4.742
H -0.650 -6.426 3.668
H -2.260 -5.090 2.233
H -1.084 -3.900 2.903
C 4.307 1.564 -0.622
C 3.606 2.823 -0.219
O 4.609 3.827 -0.520
C 5.820 3.210 -0.652
O 6.875 3.789 -0.846
O 5.704 1.941 -0.435
H 4.058 1.217 -1.625
H 4.078 0.796 0.117
H 3.339 2.908 0.834
H 2.670 2.982 -0.754
C 0.360 -1.442 7.631
C -0.760 -2.222 6.890
O -0.174 -3.362 6.372
C 0.981 -3.494 6.983
O 1.668 -4.507 6.899
O 1.260 -2.475 7.807
H 0.065 -1.114 8.628
H 0.766 -0.655 6.995
H -1.142 -1.518 6.151
H -1.605 -2.429 7.548
C 0.285 -4.181 -4.968
C -1.220 -4.446 -4.859
O -1.688 -3.494 -3.886
C -0.710 -2.906 -3.296
O -0.785 -2.063 -2.350
O 0.458 -3.243 -3.916
H 0.416 -3.794 -5.979
H 0.780 -5.134 -4.786
H -1.366 -5.489 -4.579
H -1.661 -4.214 -5.829
C -3.050 -2.131 -0.268
C -3.421 -1.491 -1.523
O -4.715 -0.887 -1.273
C -4.975 -0.999 0.061
O -5.944 -0.668 0.704
O -3.947 -1.610 0.615
H -2.083 -1.684 -0.038
H -3.271 -3.176 -0.052
H -3.590 -2.236 -2.301
H -2.775 -0.673 -1.842
C -3.703 1.710 1.835
O -3.454 2.375 0.600
C -3.218 3.628 0.659
O -3.061 4.339 1.683
O -3.063 3.960 -0.619
C -2.588 5.201 -0.908
H -2.709 1.591 2.267
H -4.131 0.710 1.772
H -4.257 2.220 2.623
H -2.760 5.487 -1.946
H -1.567 5.107 -0.541
H -3.002 5.956 -0.239
C -4.519 -1.417 4.645
O -3.391 -0.644 5.056
C -3.591 0.648 5.249
O -4.633 1.133 5.638
O -2.419 1.276 5.116
C -2.360 2.653 5.275
H -5.436 -1.245 5.209
H -4.294 -2.436 4.959
H -4.809 -1.319 3.599
H -3.220 3.089 5.783
H -2.253 3.147 4.309
H -1.546 2.943 5.940
C 3.858 -5.093 -3.435
O 4.903 -4.236 -2.889
C 4.594 -3.070 -2.296
O 5.385 -2.235 -1.921
O 3.270 -2.874 -2.194
C 2.717 -1.666 -1.670
H 3.788 -4.903 -4.506
H 2.848 -4.988 -3.039
H 4.173 -6.137 -3.416
H 1.893 -1.866 -0.985
H 2.296 -1.259 -2.590
H 3.371 -0.939 -1.189
C 0.162 0.945 -1.506
O -0.599 0.541 -0.365
C 0.187 0.189 0.703
O 1.419 -0.013 0.663
O -0.557 0.076 1.800
C 0.030 -0.403 3.003
H 1.051 1.491 -1.189
H -0.581 1.462 -2.113
H 0.570 0.224 -2.214
H -0.583 -0.296 3.897
H 0.924 0.158 3.274
H 0.195 -1.463 2.804
C 1.185 1.240 -5.880
O 2.081 0.440 -6.608
C 1.822 -0.828 -6.709
O 0.936 -1.501 -6.225
O 2.870 -1.412 -7.223
C 3.075 -2.847 -7.290
H 1.476 2.289 -5.826
H 1.118 0.955 -4.830
H 0.224 1.267 -6.395
H 2.837 -3.167 -8.304
H 2.595 -3.447 -6.517
H 4.121 -3.108 -7.133
C 4.364 -3.988 4.981
O 4.243 -3.928 3.543
C 3.046 -3.494 3.086
O 2.051 -3.104 3.660
O 3.216 -3.681 1.680
C 2.059 -3.827 0.902
H 4.453 -4.971 5.443
H 3.652 -3.476 5.629
H 5.281 -3.446 5.212
H 1.497 -2.897 0.813
H 1.416 -4.616 1.291
H 2.278 -4.113 -0.127
C -1.922 -0.714 -6.055
O -2.939 0.107 -5.463
C -2.694 1.265 -4.741
O -1.576 1.772 -4.440
O -3.844 1.742 -4.302
C -3.998 2.755 -3.273
H -1.307 -1.094 -5.240
H -1.246 -0.170 -6.715
H -2.335 -1.588 -6.557
H -3.254 3.537 -3.424
H -3.852 2.239 -2.324
H -5.032 3.092 -3.351
C 0.999 2.687 4.742
O 0.807 3.151 3.371
C 1.000 4.409 2.988
O 1.305 5.364 3.771
O 0.646 4.512 1.702
C 0.825 5.771 1.017
H 0.472 1.737 4.836
H 0.612 3.383 5.486
H 2.060 2.450 4.828
H 1.314 6.560 1.589
H -0.157 5.997 0.600
H 1.536 5.721 0.193
C 0.473 4.462 -2.945
O 1.200 5.644 -2.611
C 1.171 6.595 -3.502
O 0.907 6.477 -4.687
O 1.438 7.717 -2.756
C 1.561 9.021 -3.458
H -0.579 4.727 -2.835
H 0.847 3.669 -2.297
H 0.657 4.155 -3.975
H 1.930 9.729 -2.716
H 0.606 9.447 -3.767
H 2.168 9.063 -4.363

=====

[2]
77
Properties=species:S:1:pos:R:3 method="wB97M-V/def2-TZVPD" fmax_ev_per_a=0.61 gap_ha=0.2775 lumo_energy_ha=0.1641 e_above_lowest_ev=0.214 total_charge=-2
Mg 0.236 -0.275 0.307
C -3.231 -3.604 -3.806
C -2.236 -4.040 -2.733
C -2.064 -5.549 -2.703
O -0.989 -3.404 -2.978
C -0.691 -2.438 -1.937
C -2.092 -2.320 -1.279
O -2.654 -3.618 -1.463
C -2.425 -1.687 0.115
O -1.713 -0.526 0.225
C -2.209 -2.638 1.308

== Request ==
Your job: start at the top of the listing further up and retype each line, ending with the one that has "0.115".

== Solution ==
[1]
158
Properties=species:S:1:pos:R:3 method="wB97M-V/def2-TZVPD" fmax_ev_per_a=7.11 gap_ha=0.3755 lumo_energy_ha=-0.0118 e_above_lowest_ev=6.208 total_charge=0
C -1.265 -5.627 4.082
C -1.879 -4.609 3.133
O -2.960 -4.129 3.975
C -3.155 -4.957 4.896
O -4.067 -4.845 5.736
O -2.416 -6.029 4.728
H -0.513 -5.195 4.742
H -0.650 -6.426 3.668
H -2.260 -5.090 2.233
H -1.084 -3.900 2.903
C 4.307 1.564 -0.622
C 3.606 2.823 -0.219
O 4.609 3.827 -0.520
C 5.820 3.210 -0.652
O 6.875 3.789 -0.846
O 5.704 1.941 -0.435
H 4.058 1.217 -1.625
H 4.078 0.796 0.117
H 3.339 2.908 0.834
H 2.670 2.982 -0.754
C 0.360 -1.442 7.631
C -0.760 -2.222 6.890
O -0.174 -3.362 6.372
C 0.981 -3.494 6.983
O 1.668 -4.507 6.899
O 1.260 -2.475 7.807
H 0.065 -1.114 8.628
H 0.766 -0.655 6.995
H -1.142 -1.518 6.151
H -1.605 -2.429 7.548
C 0.285 -4.181 -4.968
C -1.220 -4.446 -4.859
O -1.688 -3.494 -3.886
C -0.710 -2.906 -3.296
O -0.785 -2.063 -2.350
O 0.458 -3.243 -3.916
H 0.416 -3.794 -5.979
H 0.780 -5.134 -4.786
H -1.366 -5.489 -4.579
H -1.661 -4.214 -5.829
C -3.050 -2.131 -0.268
C -3.421 -1.491 -1.523
O -4.715 -0.887 -1.273
C -4.975 -0.999 0.061
O -5.944 -0.668 0.704
O -3.947 -1.610 0.615
H -2.083 -1.684 -0.038
H -3.271 -3.176 -0.052
H -3.590 -2.236 -2.301
H -2.775 -0.673 -1.842
C -3.703 1.710 1.835
O -3.454 2.375 0.600
C -3.218 3.628 0.659
O -3.061 4.339 1.683
O -3.063 3.960 -0.619
C -2.588 5.201 -0.908
H -2.709 1.591 2.267
H -4.131 0.710 1.772
H -4.257 2.220 2.623
H -2.760 5.487 -1.946
H -1.567 5.107 -0.541
H -3.002 5.956 -0.239
C -4.519 -1.417 4.645
O -3.391 -0.644 5.056
C -3.591 0.648 5.249
O -4.633 1.133 5.638
O -2.419 1.276 5.116
C -2.360 2.653 5.275
H -5.436 -1.245 5.209
H -4.294 -2.436 4.959
H -4.809 -1.319 3.599
H -3.220 3.089 5.783
H -2.253 3.147 4.309
H -1.546 2.943 5.940
C 3.858 -5.093 -3.435
O 4.903 -4.236 -2.889
C 4.594 -3.070 -2.296
O 5.385 -2.235 -1.921
O 3.270 -2.874 -2.194
C 2.717 -1.666 -1.670
H 3.788 -4.903 -4.506
H 2.848 -4.988 -3.039
H 4.173 -6.137 -3.416
H 1.893 -1.866 -0.985
H 2.296 -1.259 -2.590
H 3.371 -0.939 -1.189
C 0.162 0.945 -1.506
O -0.599 0.541 -0.365
C 0.187 0.189 0.703
O 1.419 -0.013 0.663
O -0.557 0.076 1.800
C 0.030 -0.403 3.003
H 1.051 1.491 -1.189
H -0.581 1.462 -2.113
H 0.570 0.224 -2.214
H -0.583 -0.296 3.897
H 0.924 0.158 3.274
H 0.195 -1.463 2.804
C 1.185 1.240 -5.880
O 2.081 0.440 -6.608
C 1.822 -0.828 -6.709
O 0.936 -1.501 -6.225
O 2.870 -1.412 -7.223
C 3.075 -2.847 -7.290
H 1.476 2.289 -5.826
H 1.118 0.955 -4.830
H 0.224 1.267 -6.395
H 2.837 -3.167 -8.304
H 2.595 -3.447 -6.517
H 4.121 -3.108 -7.133
C 4.364 -3.988 4.981
O 4.243 -3.928 3.543
C 3.046 -3.494 3.086
O 2.051 -3.104 3.660
O 3.216 -3.681 1.680
C 2.059 -3.827 0.902
H 4.453 -4.971 5.443
H 3.652 -3.476 5.629
H 5.281 -3.446 5.212
H 1.497 -2.897 0.813
H 1.416 -4.616 1.291
H 2.278 -4.113 -0.127
C -1.922 -0.714 -6.055
O -2.939 0.107 -5.463
C -2.694 1.265 -4.741
O -1.576 1.772 -4.440
O -3.844 1.742 -4.302
C -3.998 2.755 -3.273
H -1.307 -1.094 -5.240
H -1.246 -0.170 -6.715
H -2.335 -1.588 -6.557
H -3.254 3.537 -3.424
H -3.852 2.239 -2.324
H -5.032 3.092 -3.351
C 0.999 2.687 4.742
O 0.807 3.151 3.371
C 1.000 4.409 2.988
O 1.305 5.364 3.771
O 0.646 4.512 1.702
C 0.825 5.771 1.017
H 0.472 1.737 4.836
H 0.612 3.383 5.486
H 2.060 2.450 4.828
H 1.314 6.560 1.589
H -0.157 5.997 0.600
H 1.536 5.721 0.193
C 0.473 4.462 -2.945
O 1.200 5.644 -2.611
C 1.171 6.595 -3.502
O 0.907 6.477 -4.687
O 1.438 7.717 -2.756
C 1.561 9.021 -3.458
H -0.579 4.727 -2.835
H 0.847 3.669 -2.297
H 0.657 4.155 -3.975
H 1.930 9.729 -2.716
H 0.606 9.447 -3.767
H 2.168 9.063 -4.363

=====

[2]
77
Properties=species:S:1:pos:R:3 method="wB97M-V/def2-TZVPD" fmax_ev_per_a=0.61 gap_ha=0.2775 lumo_energy_ha=0.1641 e_above_lowest_ev=0.214 total_charge=-2
Mg 0.236 -0.275 0.307
C -3.231 -3.604 -3.806
C -2.236 -4.040 -2.733
C -2.064 -5.549 -2.703
O -0.989 -3.404 -2.978
C -0.691 -2.438 -1.937
C -2.092 -2.320 -1.279
O -2.654 -3.618 -1.463
C -2.425 -1.687 0.115